Job =
The reader should quote the data below verbatim.

Input =
/*
NdEuB12 | r²SCAN | optimized geometry

Unit cell a=5.8546 b=5.8546 c=5.8546 alpha=60.00 beta=60.00 gamma=60.00
Positions (direct):
Nd (0.0000, 0.0000, 0.0000)
Eu (0.5000, 0.5000, 0.5000)
B (0.1003, 0.1003, 0.3997)
B (0.1003, 0.3997, 0.1003)
B (0.1003, 0.3997, 0.3997)
B (0.3997, 0.1003, 0.1003)
B (0.3997, 0.1003, 0.3997)
B (0.3997, 0.3997, 0.1003)
B (0.6003, 0.6003, 0.8997)
B (0.6003, 0.8997, 0.6003)
B (0.6003, 0.8997, 0.8997)
B (0.8997, 0.6003, 0.6003)
B (0.8997, 0.6003, 0.8997)
B (0.8997, 0.8997, 0.6003)

Results
electronic total energy = -11.707 eV/atom
calculated formation energy = -558 meV/atom
crystal system = cubic
*/

Here it is =
NdEuB12 | r²SCAN | optimized geometry

Unit cell a=5.8546 b=5.8546 c=5.8546 alpha=60.00 beta=60.00 gamma=60.00
Positions (direct):
Nd (0.0000, 0.0000, 0.0000)
Eu (0.5000, 0.5000, 0.5000)
B (0.1003, 0.1003, 0.3997)
B (0.1003, 0.3997, 0.1003)
B (0.1003, 0.3997, 0.3997)
B (0.3997, 0.1003, 0.1003)
B (0.3997, 0.1003, 0.3997)
B (0.3997, 0.3997, 0.1003)
B (0.6003, 0.6003, 0.8997)
B (0.6003, 0.8997, 0.6003)
B (0.6003, 0.8997, 0.8997)
B (0.8997, 0.6003, 0.6003)
B (0.8997, 0.6003, 0.8997)
B (0.8997, 0.8997, 0.6003)

Results
electronic total energy = -11.707 eV/atom
calculated formation energy = -558 meV/atom
crystal system = cubic